Assignment =
Could you transcribe the entries below without altering anything?
Contents =
(1)
Density functional theory data (meta-GGA SCAN) for Co2Re2I at its PBEsol-relaxed geometry.

```
Co2Re2I
1.0
-0.713 1.399 3.044
-2.738 -2.037 0.295
5.328 -4.106 1.209
Co I Re
2 1 2
Direct
0.250 0.750 0.500
0.750 0.250 0.500
0.000 0.000 0.000
0.617 0.617 0.234
0.383 0.383 0.766
```

Output
SG ... I4/mmm, No. 139
E_form (uncorrected) ... 24.9 kcal/mol of atoms


(2)
Density functional theory data (meta-GGA SCAN) for K2MgCo at its PBEsol-relaxed geometry.

```
K2MgCo
1.0
-1.789 -3.746 -2.053
4.080 -0.928 -1.864
1.309 -3.019 4.368
Mg Co K
1 1 2
Direct
0.500 0.000 0.500
0.000 0.500 0.500
0.500 0.500 0.000
0.000 0.000 0.000
```

Output
SG ... Pmmm, No. 47
DFT formation energy ... 716 meV per atom


(3)
Density functional theory data (meta-GGA SCAN) for Cs2TlSb2 at its PBEsol-relaxed geometry.

```
Cs2TlSb2
1.0
6.132 0.000 0.000
0.000 8.130 0.000
0.000 0.000 8.130
Cs Tl Sb
4 2 4
Direct
0.500 0.671 0.829
0.500 0.171 0.671
0.500 0.829 0.329
0.500 0.329 0.171
0.000 0.000 0.000
0.000 0.500 0.500
0.000 0.124 0.376
0.000 0.876 0.624
0.000 0.624 0.124
0.000 0.376 0.876
```

Output
SG ... P4/mbm, No. 127
E_form (uncorrected) ... -7.9 kcal/mol of atoms


(4)
Density functional theory data (meta-GGA SCAN) for ZnInSe at its PBEsol-relaxed geometry.

```
ZnInSe
1.0
-3.381 -0.884 -0.653
1.185 -1.100 3.166
-0.639 5.896 1.098
Zn Se In
1 1 1
Direct
0.317 0.317 0.634
0.686 0.686 0.372
0.997 0.997 0.994
```

Output
SG ... Fmm2, No. 42
E_form (uncorrected) ... -1.5 kcal/mol of atoms


(5)
Density functional theory data (meta-GGA SCAN) for SrCd2Br at its PBEsol-relaxed geometry.

```
SrCd2Br
1.0
5.526 0.000 0.000
2.763 4.786 0.000
2.763 1.595 4.512
Br Cd Sr
1 2 1
Direct
0.000 0.000 0.000
0.250 0.250 0.250
0.750 0.750 0.750
0.500 0.500 0.500
```

Output
SG ... Fm-3m, No. 225
E_form (uncorrected) ... -7.4 kcal/mol of atoms


(6)
Density functional theory data (meta-GGA SCAN) for Fe4ReOs at its PBEsol-relaxed geometry.

```
Fe4ReOs
1.0
4.594 0.000 0.000
2.297 3.978 0.000
2.297 1.326 3.751
Fe Os Re
4 1 1
Direct
0.376 0.873 0.376
0.873 0.376 0.376
0.376 0.376 0.873
0.376 0.376 0.376
0.750 0.750 0.750
0.000 0.000 0.000
```

Output
SG ... F-43m, No. 216
DFT formation energy ... 101 meV per atom


(7)
Density functional theory data (meta-GGA SCAN) for Ni6OsPt at its PBEsol-relaxed geometry.

```
Ni6OsPt
1.0
-6.125 0.144 -0.867
2.223 -5.437 -1.946
-1.399 -3.877 9.235
Ni Pt Os
24 4 4
Direct
0.122 0.370 0.127
0.120 0.372 0.377
0.000 0.000 0.500
0.753 0.247 0.255
0.500 0.500 0.500
0.630 0.878 0.873
0.628 0.880 0.623
0.370 0.122 0.127
0.628 0.880 0.377
0.120 0.372 0.623
0.370 0.122 0.873
0.000 0.000 0.000
0.372 0.120 0.623
0.880 0.628 0.377
0.247 0.753 0.255
0.372 0.120 0.377
0.880 0.628 0.623
0.247 0.753 0.745
0.122 0.370 0.873
0.878 0.630 0.873
0.753 0.247 0.745
0.630 0.878 0.127
0.878 0.630 0.127
0.500 0.500 0.000
0.253 0.747 0.000
0.500 0.500 0.750
0.500 0.500 0.250
0.747 0.253 0.000
0.250 0.750 0.500
0.000 0.000 0.754
0.000 0.000 0.246
0.750 0.250 0.500
```

Output
SG ... Cmmm, No. 65
DFT formation energy ... 56 meV per atom


(8)
Density functional theory data (meta-GGA SCAN) for Li2FeSi at its PBEsol-relaxed geometry.

```
Li2FeSi
1.0
-1.143 2.452 1.014
-0.945 -1.408 2.339
5.228 1.253 2.866
Li Fe Si
2 1 1
Direct
0.500 0.500 0.271
0.000 0.000 0.968
0.500 0.500 0.714
0.000 0.000 0.547
```

Output
SG ... P4mm, No. 99
E_form (uncorrected) ... 0.8 kcal/mol of atoms


(9)
Density functional theory data (meta-GGA SCAN) for YHg2Pd at its PBEsol-relaxed geometry.

```
YHg2Pd
1.0
-3.796 -2.911 -0.746
0.519 -4.026 -2.640
-0.181 -4.339 2.141
Hg Y Pd
2 1 1
Direct
0.750 0.750 0.750
Worked solution =
(1)
Density functional theory data (meta-GGA SCAN) for Co2Re2I at its PBEsol-relaxed geometry.

```
Co2Re2I
1.0
-0.713 1.399 3.044
-2.738 -2.037 0.295
5.328 -4.106 1.209
Co I Re
2 1 2
Direct
0.250 0.750 0.500
0.750 0.250 0.500
0.000 0.000 0.000
0.617 0.617 0.234
0.383 0.383 0.766
```

Output
SG ... I4/mmm, No. 139
E_form (uncorrected) ... 24.9 kcal/mol of atoms


(2)
Density functional theory data (meta-GGA SCAN) for K2MgCo at its PBEsol-relaxed geometry.

```
K2MgCo
1.0
-1.789 -3.746 -2.053
4.080 -0.928 -1.864
1.309 -3.019 4.368
Mg Co K
1 1 2
Direct
0.500 0.000 0.500
0.000 0.500 0.500
0.500 0.500 0.000
0.000 0.000 0.000
```

Output
SG ... Pmmm, No. 47
DFT formation energy ... 716 meV per atom


(3)
Density functional theory data (meta-GGA SCAN) for Cs2TlSb2 at its PBEsol-relaxed geometry.

```
Cs2TlSb2
1.0
6.132 0.000 0.000
0.000 8.130 0.000
0.000 0.000 8.130
Cs Tl Sb
4 2 4
Direct
0.500 0.671 0.829
0.500 0.171 0.671
0.500 0.829 0.329
0.500 0.329 0.171
0.000 0.000 0.000
0.000 0.500 0.500
0.000 0.124 0.376
0.000 0.876 0.624
0.000 0.624 0.124
0.000 0.376 0.876
```

Output
SG ... P4/mbm, No. 127
E_form (uncorrected) ... -7.9 kcal/mol of atoms


(4)
Density functional theory data (meta-GGA SCAN) for ZnInSe at its PBEsol-relaxed geometry.

```
ZnInSe
1.0
-3.381 -0.884 -0.653
1.185 -1.100 3.166
-0.639 5.896 1.098
Zn Se In
1 1 1
Direct
0.317 0.317 0.634
0.686 0.686 0.372
0.997 0.997 0.994
```

Output
SG ... Fmm2, No. 42
E_form (uncorrected) ... -1.5 kcal/mol of atoms


(5)
Density functional theory data (meta-GGA SCAN) for SrCd2Br at its PBEsol-relaxed geometry.

```
SrCd2Br
1.0
5.526 0.000 0.000
2.763 4.786 0.000
2.763 1.595 4.512
Br Cd Sr
1 2 1
Direct
0.000 0.000 0.000
0.250 0.250 0.250
0.750 0.750 0.750
0.500 0.500 0.500
```

Output
SG ... Fm-3m, No. 225
E_form (uncorrected) ... -7.4 kcal/mol of atoms


(6)
Density functional theory data (meta-GGA SCAN) for Fe4ReOs at its PBEsol-relaxed geometry.

```
Fe4ReOs
1.0
4.594 0.000 0.000
2.297 3.978 0.000
2.297 1.326 3.751
Fe Os Re
4 1 1
Direct
0.376 0.873 0.376
0.873 0.376 0.376
0.376 0.376 0.873
0.376 0.376 0.376
0.750 0.750 0.750
0.000 0.000 0.000
```

Output
SG ... F-43m, No. 216
DFT formation energy ... 101 meV per atom


(7)
Density functional theory data (meta-GGA SCAN) for Ni6OsPt at its PBEsol-relaxed geometry.

```
Ni6OsPt
1.0
-6.125 0.144 -0.867
2.223 -5.437 -1.946
-1.399 -3.877 9.235
Ni Pt Os
24 4 4
Direct
0.122 0.370 0.127
0.120 0.372 0.377
0.000 0.000 0.500
0.753 0.247 0.255
0.500 0.500 0.500
0.630 0.878 0.873
0.628 0.880 0.623
0.370 0.122 0.127
0.628 0.880 0.377
0.120 0.372 0.623
0.370 0.122 0.873
0.000 0.000 0.000
0.372 0.120 0.623
0.880 0.628 0.377
0.247 0.753 0.255
0.372 0.120 0.377
0.880 0.628 0.623
0.247 0.753 0.745
0.122 0.370 0.873
0.878 0.630 0.873
0.753 0.247 0.745
0.630 0.878 0.127
0.878 0.630 0.127
0.500 0.500 0.000
0.253 0.747 0.000
0.500 0.500 0.750
0.500 0.500 0.250
0.747 0.253 0.000
0.250 0.750 0.500
0.000 0.000 0.754
0.000 0.000 0.246
0.750 0.250 0.500
```

Output
SG ... Cmmm, No. 65
DFT formation energy ... 56 meV per atom


(8)
Density functional theory data (meta-GGA SCAN) for Li2FeSi at its PBEsol-relaxed geometry.

```
Li2FeSi
1.0
-1.143 2.452 1.014
-0.945 -1.408 2.339
5.228 1.253 2.866
Li Fe Si
2 1 1
Direct
0.500 0.500 0.271
0.000 0.000 0.968
0.500 0.500 0.714
0.000 0.000 0.547
```

Output
SG ... P4mm, No. 99
E_form (uncorrected) ... 0.8 kcal/mol of atoms


(9)
Density functional theory data (meta-GGA SCAN) for YHg2Pd at its PBEsol-relaxed geometry.

```
YHg2Pd
1.0
-3.796 -2.911 -0.746
0.519 -4.026 -2.640
-0.181 -4.339 2.141
Hg Y Pd
2 1 1
Direct
0.750 0.750 0.750